Sightseeing around Noord-Holland

Attached: materials data
........
VASP calculation (PBE) on a relaxed Cs2KAg3Bi2 crystal.

```
Cs2KAg3Bi2
1.0
1.1064 -1.6840 8.5489
4.8393 -5.7161 4.5881
6.7202 0.7102 5.6105
Ag K Cs Bi
3 1 2 2
Direct
0.5000 0.0000 0.5000 Ag
0.0000 0.5000 0.5000 Ag
0.5000 0.5000 0.0000 Ag
0.5000 0.5000 0.5000 K
0.0851 0.0851 0.0851 Cs
0.9149 0.9149 0.9149 Cs
0.7530 0.7530 0.7530 Bi
0.2470 0.2470 0.2470 Bi
```

## Properties
The value obtained for the total DFT energy (no corrections) is -2.668 eV per atom.

----------

[1]
Density functional theory data (PBE) for a relaxed Nd4ZnCo2 crystal.

Unit cell a=9.422 b=9.422 c=9.422 alpha=29.25 beta=29.25 gamma=29.25
Fractional positions:
1 Nd 0.116 0.116 0.116
2 Nd 0.295 0.295 0.295
3 Nd 0.705 0.705 0.705
4 Nd 0.884 0.884 0.884
5 Zn 0.500 0.500 0.500
6 Co 0.409 0.409 0.409
7 Co 0.591 0.591 0.591

## Properties
E: -34.84 eV per cell
Symmetry: R-3m, No. 166
Magnetic moment: 0.00 μB/cell

[2]
Density functional theory data (PBE) for a relaxed PaTlRe crystal.

Unit cell a=7.772 b=7.772 c=7.772 alpha=146.44 beta=146.44 gamma=48.19
Fractional positions:
1 Pa 0.126 0.126 0.000
2 Pa 0.874 0.874 0.000
3 Tl 0.363 0.363 0.000
4 Tl 0.637 0.637 0.000
5 Re 0.000 0.500 0.500
6 Re 0.500 0.000 0.500

## Properties
E: -47.52 eV per cell
Symmetry: I4/mmm, No. 139
Magnetic moment: 0.00 μB/cell
........

Sightseeing in Noord-Holland Flight info 17-11-2023 DEP/EHRD ARR/EHRD PH-SPZ 1:20 hrs 116 NM RMK/great company View this post on Instagram A post shared by PH-KEE (@ph_kee) After many a cancelled flight over the recent weeks (I think I’ve gone flying twice out of the eight attempts), we finally got to go up and have a look […]

First own night flight

<<<
[1]
DFT (PBE-GGA) results for a relaxed structure of Dy2GePt5.

Uncorrected energy   -6.42 eV/atom

a = 5.8268 Å, b = 11.8742 Å, c = 4.1496 Å
α = 90.00°, β = 90.00°, γ = 90.00°
Element x y z (fractional)
Dy 0.2273 0.1335 0.0000
Dy 0.2727 0.6335 0.0000
Dy 0.7273 0.3665 0.0000
Dy 0.7727 0.8665 0.0000
Ge 0.0000 0.5000 0.5000
Ge 0.5000 0.0000 0.5000
Pt 0.0000 0.0000 0.5000
Pt 0.0207 0.7499 0.5000
Pt 0.2312 0.3810 0.0000
Pt 0.2688 0.8810 0.0000
Pt 0.4793 0.2499 0.5000
Pt 0.5000 0.5000 0.5000
Pt 0.5207 0.7501 0.5000
Pt 0.7312 0.1190 0.0000
Pt 0.7688 0.6190 0.0000
Pt 0.9793 0.2501 0.5000

[2]
DFT (PBE-GGA) results for a relaxed structure of DyGePt.

Uncorrected energy   -6.23 eV/atom

a = 11.4501 Å, b = 11.4501 Å, c = 11.4501 Å
α = 157.91°, β = 45.12°, γ = 141.17°
Element x y z (fractional)
Dy 0.0000 0.0000 0.0000
Dy 0.2552 0.0891 0.1661
Dy 0.3348 0.0032 0.3317
Dy 0.5865 0.0865 0.5000
Dy 0.6715 0.0032 0.6683
Dy 0.9229 0.0891 0.8339
Ge 0.1149 0.3848 0.7301
Ge 0.1404 0.7047 0.4357
Ge 0.2690 0.7047 0.5643
Ge 0.6070 0.7052 0.9019
Ge 0.6548 0.3848 0.2699
Ge 0.8033 0.7052 0.0981
Pt 0.3032 0.3757 0.9275
Pt 0.4482 0.3757 0.0725
Pt 0.4767 0.7128 0.7639
Pt 0.7770 0.3789 0.3981
Pt 0.9488 0.7128 0.2361
Pt 0.9808 0.3789 0.6019

[3]
DFT (PBE-GGA) results for a relaxed structure of DyGe3Pt2.

Uncorrected energy   -5.80 eV/atom

a = 8.2314 Å, b = 8.2314 Å, c = 7.5141 Å
α = 114.79°, β = 114.79°, γ = 29.23°
Element x y z (fractional)
Dy 0.1244 0.1244 0.1517
Dy 0.8756 0.8756 0.8483
Ge 0.0445 0.0445 0.6780
Ge 0.3170 0.3170 0.1066
Ge 0.3395 0.3395 0.5394
Ge 0.6605 0.6605 0.4606
Ge 0.6830 0.6830 0.8934
Ge 0.9555 0.9555 0.3220
Pt 0.2125 0.2125 0.6942
Pt 0.4907 0.4907 0.1758
Pt 0.5093 0.5093 0.8242
Pt 0.7875 0.7875 0.3058

[4]
DFT (PBE-GGA) results for a relaxed structure of DyGePt.

Uncorrected energy   -6.19 eV/atom

a = 4.4325 Å, b = 4.4325 Å, c = 3.4994 Å
α = 90.00°, β = 90.00°, γ = 120.00°
Element x y z (fractional)
Dy 0.0000 0.0000 0.0000
Ge 0.6667 0.3333 0.5000
Pt 0.3333 0.6667 0.5000

[5]
DFT (PBE-GGA) results for a relaxed structure of DyGe2Pt.

Uncorrected energy   -5.84 eV/atom

a = 9.5703 Å, b = 9.5703 Å, c = 9.5703 Å
α = 153.71°, β = 125.48°, γ = 61.51°
Element x y z (fractional)
Dy 0.2015 0.2015 0.0000
Dy 0.2390 0.0000 0.2390
Dy 0.7610 0.0000 0.7610
Dy 0.7985 0.7985 0.0000
Ge 0.0740 0.5740 0.5000
Ge 0.1508 0.8007 0.3501
Ge 0.4260 0.4260 0.0000
Ge 0.4506 0.8007 0.6499
Ge 0.5494 0.1993 0.3501
Ge 0.5740 0.5740 0.0000
Ge 0.8492 0.1993 0.6499
Ge 0.9260 0.4260 0.5000
Pt 0.1017 0.3518 0.7500
Pt 0.3982 0.6482 0.7500
Pt 0.6018 0.3518 0.2500
Pt 0.8983 0.6482 0.2500

[6]
DFT (PBE-GGA) results for a relaxed structure of DyGe2Pt.

Uncorrected energy   -5.03 eV/atom

a = 9.4730 Å, b = 9.4730 Å, c = 9.4730 Å
α = 20.61°, β = 20.61°, γ = 20.61°
Element x y z (fractional)
Dy 0.0000 0.0000 0.0000
Ge 0.1055 0.1055 0.1055
Ge 0.8945 0.8945 0.8945
Pt 0.5000 0.5000 0.5000

[7]
DFT (PBE-GGA) results for a relaxed structure of Dy4Ge3Pt.

Uncorrected energy   -5.75 eV/atom
>>>
# Here the article continues

First night flight as PIC Flight info 17-01-2023 DEP/EHRD ARR/EHRD PH-SPZ 1:05 hrs 82 NM RMK/none View this post on Instagram A post shared by PH-KEE (@ph_kee) Tonight was one of the nicest evenings since a lot of rainy days. It seemed that nearly the entire Dutch GA community was flying tonight! And they were right: […]

A Christmas spin

A Christmas spin along the beach Flight info 24-12-2022 DEP/EHRD ARR/EHRD PH-SPZ 1:25 hrs 114 NM RMK/none View this post on Instagram A post shared by PH-KEE (@ph_kee) Now don’t worry about the title, we did not actually do a spin. My mom and I took the PH-SPZ out for a final flight of 2022. […]

Night VFR lesson #2

(Attached: data records)
=====
{
  "formula": "Zr4Cl5",
  "functional": "PBE-GGA",
  "state": "relaxed",
  "rho_g_cm3": 5.01,
  "raw_formation_energy_ev_per_atom": -0.493,
  "n_ef_per_ev_cell": 18.88,
  "cell": [[8.107, 0.000, 0.000], [-4.053, 7.021, 0.000], [0.000, 0.000, 6.316]],
  "species": ["Cl", "Cl", "Cl", "Cl", "Cl", "Cl", "Cl", "Cl", "Cl", "Cl", "Zr", "Zr", "Zr", "Zr", "Zr", "Zr", "Zr", "Zr"],
  "fractional_positions": [[0.308, 0.308, 0.250], [0.000, 0.692, 0.250], [0.667, 0.333, 0.500], [0.308, 0.000, 0.750], [0.000, 0.308, 0.750], [0.692, 0.000, 0.250], [0.692, 0.692, 0.750], [0.333, 0.667, 0.500], [0.667, 0.333, 0.000], [0.333, 0.667, 0.000], [0.000, 0.332, 0.250], [0.668, 0.000, 0.750], [0.668, 0.668, 0.250], [0.332, 0.332, 0.750], [0.332, 0.000, 0.250], [0.000, 0.000, 0.500], [0.000, 0.668, 0.750], [0.000, 0.000, 0.000]]
}

=====

(1)
# PmNd2Sm6

PmNd2Sm6 after structural relaxation (PBE, Alexandria via LeMat-Bulk).

Properties
polymorph energy (0 for the lowest one) = 1.44 eV/f.u.
D(E_F) = 1.593 states/eV/atom

Cell and atoms, written as CIF:
```
data_PmNd2Sm6
_cell_length_a 7.6711
_cell_length_b 7.6711
_cell_length_c 6.1455
_cell_angle_alpha 90.00
_cell_angle_beta 90.00
_cell_angle_gamma 120.00
_symmetry_space_group_name_H-M 'P -3 m 1'
_symmetry_Int_Tables_number 164
_symmetry_space_group_name_Hall '-P 3 2"'
loop_
_atom_site_label
_atom_site_fract_x
_atom_site_fract_y
_atom_site_fract_z
Pm1 0.0000 0.0000 0.0000
Nd1 0.3333 0.6667 0.7837
Sm1 0.1877 0.3754 0.2890
```

---

(2)
# Pm12NdSm5

Pm12NdSm5 after structural relaxation (PBE, Alexandria via LeMat-Bulk).

Properties
D(E_F) = 1.824 states/eV/atom
raw total energy = -166.98 eV for the cell shown

Cell and atoms, written as CIF:
```
data_Pm12NdSm5
_cell_length_a 11.496
_cell_length_b 17.771
_cell_length_c 6.067
_cell_angle_alpha 90.00
_cell_angle_beta 90.01
_cell_angle_gamma 90.00
_symmetry_space_group_name_H-M 'C 1 2/m 1'
_symmetry_Int_Tables_number 12
_symmetry_space_group_name_Hall '-C 2y'
loop_
_atom_site_label
_atom_site_fract_x
_atom_site_fract_y
_atom_site_fract_z
Pm1 0.175 0.000 0.048
Pm2 0.176 0.167 0.450
Pm3 0.176 0.333 0.050
Pm4 0.176 0.500 0.452
Nd1 0.000 0.500 0.000
Sm1 0.000 0.000 0.500
Sm2 0.000 0.167 0.000
Sm3 0.000 0.333 0.500
```

---

(3)
# Pm2Nd3Sm4

Pm2Nd3Sm4 after structural relaxation (PBE, Alexandria via LeMat-Bulk).

Properties
polymorph energy (0 for the lowest one) = 0.30 eV/f.u.
D(E_F) = 1.641 states/eV/atom

Cell and atoms, written as CIF:
```
data_Pm2Nd3Sm4
_cell_length_a 11.649
_cell_length_b 5.875
_cell_length_c 9.291
_cell_angle_alpha 90.00
_cell_angle_beta 102.22
_cell_angle_gamma 90.00
_symmetry_space_group_name_H-M 'C 1 2/m 1'
_symmetry_Int_Tables_number 12
_symmetry_space_group_name_Hall '-C 2y'
loop_
_atom_site_label
_atom_site_fract_x
_atom_site_fract_y
_atom_site_fract_z
Pm1 0.065 0.000 0.301
Nd1 0.000 0.500 0.000
Nd2 0.117 0.500 0.687
Sm1 0.179 0.000 0.960
Sm2 0.228 0.500 0.369
```

---

(4)
# Pm4Nd3Sm3
=====

Night VFR lesson #2: touch-and-goes in Lelystad Flight info 28-10-2022 DEP/EHRD ARR/EHLE PH-SPZ 2:20 hrs 181 NM RMK/touch-and-goes at night View this post on Instagram A post shared by PH-KEE (@ph_kee) My second night VFR lesson! It brought us to Lelystad, as pattern work is not allowed in Rotterdam at night. Having to practice touch-and-goes, […]

Ferrying the PH-SPZ from Zeeland

Ferrying the PH-SPZ to Zeeland for maintenance Flight info 29-07-2022 DEP/EHMZ ARR/EHRD PH-SPZ 1:05 hrs 52 NM RMK/none View this post on Instagram A post shared by PH-KEE (@ph_kee) A brief summary of the day: Car ride to EHRD One maybe illegal train ride from Delft to Rotterdam A very full bus from EHRD to the […]

Ferrying the PH-SPZ to Zeeland

Ferrying the PH-SPZ to Zeeland for maintenance Flight info 27-07-2022 DEP/EHRD ARR/EHMZ PH-SPZ 0:30 hrs 50 NM RMK/none View this post on Instagram A post shared by PH-KEE (@ph_kee) This Wednesday, the PH-SPZ needed to go to Midden-Zeeland for maintenance. A friend and I flew it there together. We then spent the day sitting in the […]

Romeo departure and Hotel arrival

Romeo departure and Hotel arrival Flight info 17-07-2022 DEP/EHRD ARR/EHRD PH-SPZ 0:55 hrs 67 NM RMK/none View this post on Instagram A post shared by PH-KEE (@ph_kee) A short flight to check out the Romeo departure and Hotel arrival. In Rotterdam Approach airspace we did a steep turn and a stall. Then, down again to 1500 […]

From Rotterdam with rain

From Rotterdam with rain (and clouds) Flight info 29-05-2022 DEP/EHRD ARR/EHRD PH-SPZ 0:40 hrs ?? NM RMK/Victor Romeo Formation View this post on Instagram A post shared by PH-KEE (@ph_kee) Occasionally, on Sundays, I am PAX. And we go flying, even in suboptimal weather. It is awesome, getting to watch those beautiful clouds from close by. […]

A good day to be PAX

Being PAX isn’t so bad, is it? Flight info 08-05-2022 DEP/EHRD ARR/EHRD PH-SPZ 0:40 hrs ?? NM RMK/Victor Romeo Formation View this post on Instagram A post shared by PH-KEE (@ph_kee) See the Rotterdam skyline in that photo?  Isn’t that the joy of flying? Get to enjoy awesome views from the sky. Play with the clouds, […]